
Friday, October 23, 2015

U.S. Offshores Jobs to Reduce Poverty Overseas (Really?)

Just like Bill Gates' and Bill Clinton's foundations, CEOs of American-based multi-national corporations are offshoring jobs overseas to low-wage countries, not because it can generate much higher profits at the expense of American workers, but because of humanitarian reasons — to help others in this world of economic globalization.

Last June the New York Times wrote in a post titled "The Democratic Tea Party":

In Asia, the American-led open trade era has created the greatest reduction in poverty in human history. The Pacific trade deal [the TPP trade agreement] would lift the living standards of the poorest Asians, especially the 90 million people of Vietnam."

Nike has 345,000 workers in Vietnam working in 67 factories paying young women 60 cents an hour to make shoes selling for $150 in the United States. Meanwhile, the U.S. has 67,161 less factories today than we did in 1997.

In 2011 the Atlantic wrote in a post titled "The Rise of the New Global Elite":

The U.S.-based CEO of one of the world’s largest hedge funds told me that his firm’s investment committee often discusses the question of who wins and who loses in today’s economy. In a recent internal debate, he said, one of his senior colleagues had argued that the hollowing-out of the American middle class didn’t really matter. “His point was that if the transformation of the world economy lifts four people in China and India out of poverty and into the middle class, and meanwhile means one American drops out of the middle class, that’s not such a bad trade,” the CEO recalled.

Records of crystals, as found in the file.
=====
Entry 1:
24
Lattice="2.539 -4.416 0.000 2.539 4.416 0.000 -1.716 0.000 9.635" Properties=species:S:1:pos:R:3 comment="Li7Cr5O12, relaxed, DFT GGA+U" sg="C2/m (12)" pbc="T T T"
Li 0.000 0.000 0.000
Li 0.836 1.464 2.369
Li -0.055 0.000 7.262
Li 0.836 -1.464 2.369
Li 2.526 1.464 7.266
Li 3.417 0.000 2.373
Li 2.526 -1.464 7.266
Cr 1.681 2.936 4.818
Cr 2.539 1.460 0.000
Cr 1.681 0.000 4.818
Cr 2.539 -1.460 0.000
Cr 1.681 -2.936 4.818
O 1.600 2.786 1.077
O -0.012 0.000 3.703
O 0.835 1.478 5.908
O 1.762 2.786 8.558
O 1.828 0.000 1.079
O 2.527 1.478 3.727
O 0.835 -1.478 5.908
O 1.534 0.000 8.556
O 1.600 -2.786 1.077
O 2.527 -1.478 3.727
O 3.373 0.000 5.932
O 1.762 -2.786 8.558

Entry 2:
76
Lattice="5.054 0.000 0.000 0.006 10.183 0.000 0.053 0.002 17.293" Properties=species:S:1:pos:R:3 comment="Li9Cr19O48, relaxed, DFT GGA+U" sg="P1 (1)" de_polymorph_mev_per_atom=0 pbc="T T T"
Li 0.000 0.000 0.000
Li 5.064 1.779 2.889
Li 0.763 6.834 3.782
Li 1.772 1.740 12.482
Li 2.532 6.805 13.351
Li 2.538 3.470 7.636
Li 2.556 1.770 4.678
Li 5.051 6.820 11.567
Li 5.059 8.562 8.630
Cr 0.057 3.572 17.242
Cr 0.145 9.104 14.124
Cr 0.167 4.569 14.089
Cr 0.159 1.727 9.107
Cr 2.382 6.821 7.164
Cr 2.371 4.023 2.184
Cr 2.411 9.633 2.176
Cr 2.521 8.676 16.349
Cr 2.545 5.025 16.323
Cr 2.543 10.083 7.718
Cr 2.689 9.112 10.833
Cr 2.694 4.560 10.788
Cr 2.803 1.760 15.776
Cr 3.295 6.821 3.855
Cr 4.295 1.754 12.419
Cr 4.819 6.854 0.496
Cr 4.905 9.654 5.482
Cr 4.910 4.022 5.434
Cr 5.055 4.991 8.545
O 0.426 0.366 13.287
O 0.422 1.733 10.831
O 0.445 3.093 13.243
O 0.723 0.448 4.528
O 0.790 4.385 6.815
O 0.814 3.083 4.498
O 0.808 5.397 0.072
O 0.847 9.326 6.800
O 0.846 8.146 0.028
O 0.900 3.191 1.669
O 1.001 6.728 8.236
O 1.023 0.244 1.776
O 1.539 1.638 8.036
O 1.588 8.318 14.587
O 1.594 5.420 14.594
O 1.718 3.143 16.183
O 1.697 4.235 9.473
O 1.744 8.158 11.769
O 1.754 9.474 9.454
O 1.810 0.375 16.176
O 1.814 5.522 11.760
O 2.085 8.197 3.030
O 2.088 5.508 3.000
O 2.117 6.832 5.444
O 3.072 0.359 11.670
O 3.076 3.132 11.613
O 3.103 1.749 14.083
O 3.302 8.245 7.553
O 3.316 2.967 3.022
O 3.317 9.245 0.774
O 3.341 0.409 3.100
O 3.367 4.399 0.717
O 3.436 6.834 16.628
O 3.428 5.499 7.557
O 3.492 0.307 5.970
O 3.562 3.183 5.860
O 4.041 8.279 10.407
O 4.109 1.823 16.907
O 4.094 5.397 10.294
O 4.166 0.409 8.708
O 4.224 4.220 15.516
O 4.230 9.405 15.464
O 4.288 5.582 13.163
O 4.296 3.153 8.717
O 4.329 8.115 13.182
O 4.478 6.838 2.181
O 4.518 5.454 4.602
O 4.522 8.228 4.655

| no. | total DFT energy (no corrections) (eV per atom) | E_form (eV per atom) | density (g cm⁻³) |
| --- | --- | --- | --- |
| 1 | -6.58 | -2.298 | 3.85 |
| 2 | -6.81 | -1.975 | 3.39 |

~~~~~

(1)
A relaxed structure of Bi12Ir12O41. Source: the Materials Project, functional PBE.

Lattice parameters (Å, degrees): 7.3568 7.3568 54.0185 90.00 90.00 120.00
Space group P3m1 (No. 156)
Asymmetric unit:
Bi (0.0000, 0.0000, 0.0000) x1
Bi (0.0000, 0.0000, 0.3277) x1
Bi (0.0000, 0.0000, 0.6639) x1
Bi (0.0001, 0.5000, 0.4973) x3
=====

Is it America's moral duty and global responsibly to make sacrifices in our own lives to help other people in other countries to raise their standard-of-living? Some people will use that argument to defend their practices of offshoring jobs overseas to low-wage countries, making it appear that somehow our "job creators" are doing something noble for humanity (and that greed has nothing at all to do with it — and that this is not the reason why U.S. corporations now have over $2.1 trillion in overseas profits stashed offshore.

The economist Mark Thoma, in a recent post at the Fiscal Times titled "The Lofty Promise and Humble Reality of International Trade", he asks:

How should we feel about international trade? Should we applaud it for its ability to lift the world’s poor out of poverty, lower the price of goods, and increase the variety of products we can consume? Or should we be concerned about the effects it has on employment, inequality, and the availability of decent jobs within the US?" [Read the entire article and see the reader comments to this post at Mark Thoma's blog]

Regarding a seminar "Economic Impossibilities For Our Grandchildren? Examining Secular Stagnation" — at Mark Thoma's blog, one reader commented:

Let's talk about actual offshoring by US manufacturers:

  • In some cases it was done to produce products with lower cost of labor to lower consumer price and be more competitive.
  • In some cases it was done to produce products with lower cost of labor to increase profit margins.
  • In some cases it was done to produce products in regions of the world where access to markets was limited and moving production there was the necessary foot in the door to open those markets to the firms products.
  • In many cases US firms offshored for a combination of all three reasons.
  • In no cases that I know of did a firm offshore because the American shopper wanted a cheaper product made elsewhere.

Toyota and Kia offshored to lower shipping costs, and also because US shoppers wanted to buy domestically produced automobiles out of anti-globalization solidarity. GE has done a little re-shoring because of shopper sentiment and because SE Asia markets turned out to be less fast-growing and lucrative for their products as they had hoped. Other US firms are also bringing production home using automation to offset higher labor costs.

CNN Money (October 2015):

"China's middle-class is now the biggest in the world, and growing much faster than America's, according to research by Credit Suisse. There are 109 million Chinese with wealth of between $50,000 and $500,000. Since 2000, twice as many Chinese as Americans have joined the middle class."

In his last year of office, President Bill Clinton called on Congress to make normal trade relations with China permanent. So legislation was introduced to the House on May 15, 2000 by Rep. William Reynolds Archer (R-Texas) saying that permanent normal trade relations (PNTR) with China was a top priority, and was vital to the U.S. agriculture market (to gain access to a market with one-fifth of the world’s population).

The other crucial point that was made was that the involvement of the U.S. was needed "to help the workers of the People’s Republic of China to lead better lives". Since then, millions of Chinese people have been lifted up into the middle-class.

Paul Krugman provides the graphic below and writes, "There have been huge gains for what we might call the global middle — largely consisting of the rising middle-classes of China and India. Now for the bad news: Between these twin peaks lies what we might call The Valley of Despond. Incomes have grown slowly, if at all, for the advanced-country working classes."

Valley of Despond

So many Americans were forced from the middle-class in the U.S. so that many more people in other countries can move into the middle-class. Have we sacrificed the few to save the many? Who decides? Our CEOs? Members of Congress, despite how their constituents might feel? Not long ago they passed fast-tracking the TPP trade agreement down our throats.

Mark Thoma also noted:

“We could have and should have enacted policies to ensure that the gains from trade (and from technological change) are broadly distributed. But instead we moved in the other direction with policies such as tax cuts [for the rich and large corporations], diminished trade adjustment assistance [financial aid to displaced workers by trade agreements], minimum wages that did not keep pace with inflation [stagnant since 1979], and legislation to weaken unions [such as right-to-work-laws] that helped to concentrate the gains in the hands of a small group of very large winners.”

The Seattle Times notes:

"Another cautionary look comes from the Federal Reserve Bank of St. Louis, where a new paper examines the effect of trade on jobs. It found that manufacturing exposed to Chinese competition was most likely to lose jobs. Where do the jobs grow? In low-paid services." [That's why workers in the fast food industry and retail industry have been protesting for $15 an hour — something Senator Bernie Sanders want to phase in by 2020.]

Study: Union power and inequality (And see the readers' comments at Mark Thomas's blog):

Conclusion: If our findings are interpreted as causal, higher unionisation and minimum wages can help reduce inequality. However, this is not necessarily a blanket recommendation for higher unionisation and minimum wages. Other dimensions are clearly relevant. The experience with unions has been positive in some countries, but less so in others. For instance, if unions primarily represent the interests of only some workers, they can lead to high structural unemployment for some other groups (e.g. the young). Similarly, in some instances, minimum wages can be too high and lead to high unemployment among unskilled workers and competitiveness losses. Deciding whether or not to reform labour market institutions has to be done on a country-by-country basis, taking into account how well the institutions are functioning and possible trade-offs with other policy objectives (competitiveness, growth, and employment). Finally, addressing rising inequality will likely require a multi-pronged approach including tax reform and policies to curb excesses associated with the deregulation of the financial sector.

Our "job creators" have been creating jobs overseas (to lift others out of poverty, putting more Americans into poverty) because "they" say it's the moral and humanitarian thing to do — because the CEOs and members of Congress say so (and it's not because of corporate greed). So just remember that every time you buy an iPhone or a pair of Nike shoes: You'll be giving to "charity".

It would also be interesting to know, besides just jobs and wages, what percentage of U.S. earnings of Microsoft and Walmart are being used for humanitarian reasons abroad. Recently the EU slammed corporate tax dodgers. Is Apple next? Maybe if the U.S. cracked down on our own congressionally-enabled corporate "tax avoiders", maybe the extra tax revenues could be used for humanitarian purposes here at home.

After realizing how unpopular the TPP trade agreement was among Democratic voters, Hillary Clinton (after years of promoting it) flip-flopped — and is now against it. Whereas Senator Bernie Sanders was ALWAYS against it. And that might help explain why the corporate media almost always refers to Senator Bernie Sanders as "a democratic socialist" or "the self-proclaimed socialist" or "an avowed Socialist" — much more so than they describe him as "a progressive Independent" — or just "the senator from Vermont".

On the other hand, the corporate media never describes Hillary Clinton as "the neoliberal free-trading capitalist" or "the self-proclaimed moderate". The media usually just refers to her as "the Democratic front-runner". Why is that? Maybe it's because America's 6 giant media corporations support the TPP trade agreement, and why they have mostly ignored the issue.

And that's also most likely why the media pundits said Hillary won the last Democratic debate, despite the fact that all the online polls and focus groups showed Bernie had won.

Comcast bought NBCUniversal (NBC, MSNBC, etc.) on March 19, 2013. Afterwards, Comcast ordered MSNBC to remove anti-TPP hosts — and that's why they fired Ed Schultz. In his very last show on MSNBC, Ed bashed Hillary Clinton on the TPP trade deal. (Also read this by Global Research ... TPP, TTIP and TISA: How the Media Misrepresent Obama’s “Fast Track” “Secret” International Trade Deals).

The Center for Public Integrity asked Joe Trippi (a Democratic campaign consultant): "What do you think would happen if Bernie Sanders beats Hillary Clinton in Iowa?"

He replied: "The entire Democratic establishment would come out of the woodwork to stop Bernie Sanders from being the nominee. The establishment fervently believes that a socialist cannot be president of the United States."

But yet, a self-proclaimed moderate and neoliberal free-trading capitalist (who supported the TPP trade deal) would be perfectly acceptable to the establishment Democratic party machine ? Why is that?

1 comment:

  1. Bernie Sanders was disappointed in Comcast's decision to remove Ed Schultz from MSNBC

    Ed Schultz backs Bernie Sanders

    Ed Schultz to head super PAC dedicated to middle-class issues
